Given:
- - -
A plane-wave DFT calculation with PBE was carried out for a geometry-optimized BaZnC4S4N4O7 structure.

a = 17.528 Å, b = 17.528 Å, c = 11.105 Å
α = 90.00°, β = 90.00°, γ = 90.00°
Space group I-4 (No. 82)
Unique sites:
Ba  0.231  0.268  0.281 [8 per cell]
Zn  0.000  0.000  0.246 [4 per cell]
Zn  0.000  0.500  0.011 [4 per cell]
C  0.020  0.130  0.559 [8 per cell]
C  0.020  0.866  0.066 [8 per cell]
C  0.030  0.375  0.812 [8 per cell]
C  0.036  0.372  0.311 [8 per cell]
S  0.036  0.196  0.448 [8 per cell]
S  0.055  0.318  0.197 [8 per cell]
S  0.075  0.323  0.703 [8 per cell]
S  0.075  0.777  0.945 [8 per cell]
N  0.004  0.086  0.634 [8 per cell]
N  0.008  0.911  0.141 [8 per cell]
N  0.012  0.415  0.892 [8 per cell]
N  0.021  0.410  0.396 [8 per cell]
O  0.120  0.825  0.863 [8 per cell]
O  0.121  0.214  0.451 [8 per cell]
O  0.121  0.740  0.039 [8 per cell]
O  0.149  0.833  0.282 [8 per cell]
O  0.150  0.685  0.478 [8 per cell]
O  0.158  0.659  0.770 [8 per cell]
O  0.190  0.280  0.999 [8 per cell]

Properties
Electronic total energy   -6.06 eV per atom
Formation energy   -0.1814 eV per atom

* * * * *

Record 1
Li2InCuF6 | PBE | optimized geometry Values from VASP.

magnetization	0.07	μB/f.u.
ρ	3.376	g cm⁻³
space group	Fm-3m (225)
E	-4.251	eV per atom
crystal system	cubic
energy of formation	-23.13	eV per formula unit

```
&SYSTEM
  ibrav = 0, nat = 10, ntyp = 4
/
ATOMIC_SPECIES
Li 6.94 Li.upf
In 114.82 In.upf
Cu 63.55 Cu.upf
F 19.00 F.upf
ATOMIC_POSITIONS angstrom
Li 2.1116 2.1116 2.1116
Li 6.3347 6.3347 6.3347
In 0.0000 0.0000 0.0000
Cu 4.2232 4.2232 4.2232
F 4.2232 4.2232 2.1130
F 4.2232 2.1130 4.2232
F 6.3333 4.2232 4.2232
F 2.1130 4.2232 4.2232
F 4.2232 6.3333 4.2232
F 4.2232 4.2232 6.3333
CELL_PARAMETERS angstrom
0.0000 4.2232 4.2232
4.2232 0.0000 4.2232
4.2232 4.2232 0.0000
```

---

Record 2
CeMn8Fe4 | PBE | optimized geometry Values from VASP.

magnetization	7.23	μB/f.u.
ρ	8.023	g cm⁻³
space group	I4/mmm (139)
E	-8.644	eV per atom
crystal system	tetragonal
energy of formation	0.74	eV per formula unit

```
&SYSTEM
  ibrav = 0, nat = 13, ntyp = 3
/
ATOMIC_SPECIES
Ce 140.12 Ce.upf
Mn 54.94 Mn.upf
Fe 55.84 Fe.upf
ATOMIC_POSITIONS angstrom
Ce 0.0000 0.0000 0.0000
Mn 2.0861 2.0861 -1.1935
Mn 2.0861 -2.0861 1.1935
Mn 4.1722 2.2257 0.0000
Mn -2.0861 2.0861 1.1935
Mn 2.2257 4.1722 0.0000
Mn 2.0861 2.0861 1.1935
Mn 1.9465 0.0000 2.3869
Mn 0.0000 1.9465 2.3869
Fe 3.0216 0.0000 0.0000
Fe 5.3227 0.0000 0.0000
Fe 0.0000 3.0216 0.0000
Fe 0.0000 5.3227 0.0000
CELL_PARAMETERS angstrom
-4.1722 4.1722 2.3869
4.1722 -4.1722 2.3869
4.1722 4.1722 -2.3869
```

---

Record 3
CsNdZnTe3 | PBE | optimized geometry Values from VASP.

magnetization	0.00	μB/f.u.
ρ	5.097	g cm⁻³
space group	Cmcm (63)
E	-3.831	eV per atom
crystal system	orthorhombic
energy of formation	-7.90	eV per formula unit

```
&SYSTEM
  ibrav = 0, nat = 12, ntyp = 4
/
ATOMIC_SPECIES
Cs 132.91 Cs.upf
Nd 144.24 Nd.upf
Zn 65.41 Zn.upf
Te 127.60 Te.upf
ATOMIC_POSITIONS angstrom
Cs 2.2638 4.3969 9.0305
Cs 2.2638 -4.3969 3.0102
Nd 2.2638 0.0000 0.0000
Nd 2.2638 0.0000 6.0203
Zn 2.2638 8.0584 3.0102
Zn 2.2638 -8.0584 9.0305
Te 2.2638 6.5753 0.7874
Te 2.2638 6.5753 5.2329
Te 2.2638 1.0499 3.0102
Te 2.2638 -1.0499 9.0305
Te 2.2638 -6.5753 6.8077
Te 2.2638 -6.5753 11.2532
CELL_PARAMETERS angstrom
2.2638 -8.6702 0.0000
2.2638 8.6702 0.0000
0.0000 0.0000 12.0406
```

---

Record 4
Zr2N2O | PBE | optimized geometry Values from VASP.

magnetization	0.00	μB/f.u.
ρ	5.732	g cm⁻³
space group	P2_1/m (11)
E	-9.711	eV per atom
crystal system	monoclinic
energy of formation	-10.53	eV per formula unit

```
&SYSTEM
  ibrav = 0, nat = 10, ntyp = 3
/
ATOMIC_SPECIES
Zr 91.22 Zr.upf
N 14.01 N.upf
O 16.00 O.upf
ATOMIC_POSITIONS angstrom
Zr 0.2376 0.8739 1.4853
Zr 0.2735 0.8739 5.2401
Zr 2.4390 2.6216 3.3961
Zr 2.4749 2.6216 7.1509
N 0.2747 2.6216 3.4761
N 0.2167 2.6216 6.4693
N 2.4957 0.8739 2.1668
N 2.4377 0.8739 5.1600
O 0.7028 2.6216 0.5450
O 2.0097 0.8739 8.0911
CELL_PARAMETERS angstrom
- - -

Wanted:
Your job: print the lines further above up to the one that holds "Fm-3m (225)", that line included.

Solution:
A plane-wave DFT calculation with PBE was carried out for a geometry-optimized BaZnC4S4N4O7 structure.

a = 17.528 Å, b = 17.528 Å, c = 11.105 Å
α = 90.00°, β = 90.00°, γ = 90.00°
Space group I-4 (No. 82)
Unique sites:
Ba  0.231  0.268  0.281 [8 per cell]
Zn  0.000  0.000  0.246 [4 per cell]
Zn  0.000  0.500  0.011 [4 per cell]
C  0.020  0.130  0.559 [8 per cell]
C  0.020  0.866  0.066 [8 per cell]
C  0.030  0.375  0.812 [8 per cell]
C  0.036  0.372  0.311 [8 per cell]
S  0.036  0.196  0.448 [8 per cell]
S  0.055  0.318  0.197 [8 per cell]
S  0.075  0.323  0.703 [8 per cell]
S  0.075  0.777  0.945 [8 per cell]
N  0.004  0.086  0.634 [8 per cell]
N  0.008  0.911  0.141 [8 per cell]
N  0.012  0.415  0.892 [8 per cell]
N  0.021  0.410  0.396 [8 per cell]
O  0.120  0.825  0.863 [8 per cell]
O  0.121  0.214  0.451 [8 per cell]
O  0.121  0.740  0.039 [8 per cell]
O  0.149  0.833  0.282 [8 per cell]
O  0.150  0.685  0.478 [8 per cell]
O  0.158  0.659  0.770 [8 per cell]
O  0.190  0.280  0.999 [8 per cell]

Properties
Electronic total energy   -6.06 eV per atom
Formation energy   -0.1814 eV per atom

* * * * *

Record 1
Li2InCuF6 | PBE | optimized geometry Values from VASP.

magnetization	0.07	μB/f.u.
ρ	3.376	g cm⁻³
space group	Fm-3m (225)